What is needed: quote the whole of the data underneath without additions.

'''
Record 1
Theoretical powder X-ray diffraction pattern
Compound: K2CdInPt
Radiation: copper Kα
Structure: a PBE-relaxed structure

The 10 most intense peaks (2θ from 10° to 90°), sorted by position:
14.28°, d = 6.200 Å, intensity 71.1, hkl 1 0 0
20.26°, d = 4.384 Å, intensity 100.0, hkl 1 1 0
22.35°, d = 3.978 Å, intensity 49.3, hkl 1 0 1
28.80°, d = 3.100 Å, intensity 95.3, hkl 2 0 0
34.59°, d = 2.593 Å, intensity 29.2, hkl 0 0 2
36.75°, d = 2.445 Å, intensity 27.9, hkl 2 1 1
40.41°, d = 2.232 Å, intensity 35.3, hkl 1 1 2
41.18°, d = 2.192 Å, intensity 35.6, hkl 2 2 0
45.61°, d = 1.989 Å, intensity 52.7, hkl 2 0 2
54.84°, d = 1.674 Å, intensity 30.0, hkl 2 2 2

```
data_K2CdInPt
_cell_length_a 6.2002
_cell_length_b 6.2002
_cell_length_c 5.1865
_cell_angle_alpha 90.00
_cell_angle_beta 90.00
_cell_angle_gamma 90.00
_symmetry_space_group_name_H-M 'P 4/m m m'
_symmetry_Int_Tables_number 123
_symmetry_space_group_name_Hall '-P 4 2'
loop_
_atom_site_label
_atom_site_type_symbol
_atom_site_fract_x
_atom_site_fract_y
_atom_site_fract_z
_atom_site_occupancy
K1 K 0.0000 0.5000 0.0000 1
Cd1 Cd 0.0000 0.0000 0.5000 1
In1 In 0.5000 0.5000 0.5000 1
Pt1 Pt 0.5000 0.5000 0.0000 1
```



Record 2
Theoretical powder X-ray diffraction pattern
Compound: KCd2InSe4
Radiation: copper Kα
Structure: a PBE-relaxed structure

The 10 most intense peaks (2θ from 10° to 90°), sorted by position:
15.23°, d = 5.816 Å, intensity 16.2, hkl 1 0 1
24.31°, d = 3.661 Å, intensity 100.0, hkl 1 1 2
37.58°, d = 2.394 Å, intensity 28.4, hkl 2 2 0
41.50°, d = 2.176 Å, intensity 43.5, hkl 2 0 4
45.26°, d = 2.003 Å, intensity 33.4, hkl 3 1 2
51.94°, d = 1.761 Å, intensity 11.3, hkl 1 1 6
54.19°, d = 1.693 Å, intensity 8.2, hkl 4 0 0
65.83°, d = 1.419 Å, intensity 11.4, hkl 0 0 8
70.49°, d = 1.336 Å, intensity 13.2, hkl 4 2 4
78.32°, d = 1.221 Å, intensity 8.5, hkl 2 2 8

```
data_KCd2InSe4
_cell_length_a 6.7705
_cell_length_b 6.7705
_cell_length_c 11.3600
_cell_angle_alpha 90.00
_cell_angle_beta 90.00
_cell_angle_gamma 90.00
_symmetry_space_group_name_H-M 'I -4 2 m'
_symmetry_Int_Tables_number 121
_symmetry_space_group_name_Hall 'I -4 2'
loop_
_atom_site_label
_atom_site_type_symbol
_atom_site_fract_x
_atom_site_fract_y
_atom_site_fract_z
_atom_site_occupancy
K1 K 0.0000 0.0000 0.0000 1
Cd1 Cd 0.0000 0.5000 0.2500 1
In1 In 0.0000 0.0000 0.5000 1
Se1 Se 0.2185 0.2185 0.3618 1
```



Record 3
Theoretical powder X-ray diffraction pattern
Compound: KCdInSn2
Radiation: copper Kα
Structure: a PBE-relaxed structure

The 10 most intense peaks (2θ from 10° to 90°), sorted by position:
14.62°, d = 6.061 Å, intensity 42.9, hkl 0 0 2
18.89°, d = 4.698 Å, intensity 58.3, hkl 1 0 1
28.19°, d = 3.166 Å, intensity 45.8, hkl 1 0 3
28.82°, d = 3.097 Å, intensity 100.0, hkl 1 1 2
35.22°, d = 2.548 Å, intensity 91.6, hkl 2 0 0
38.83°, d = 2.319 Å, intensity 98.7, hkl 1 1 4
41.24°, d = 2.189 Å, intensity 26.0, hkl 1 0 5
45.71°, d = 1.985 Å, intensity 24.3, hkl 2 1 3
50.67°, d = 1.802 Å, intensity 32.1, hkl 2 2 0
65.62°, d = 1.423 Å, intensity 42.7, hkl 3 1 4

```
data_KCdInSn2
_cell_length_a 5.0960
_cell_length_b 5.0960
_cell_length_c 12.1212
_cell_angle_alpha 90.00
_cell_angle_beta 90.00
_cell_angle_gamma 90.00
_symmetry_space_group_name_H-M 'I -4 m 2'
_symmetry_Int_Tables_number 119
_symmetry_space_group_name_Hall 'I -4 -2'
loop_
_atom_site_label
_atom_site_type_symbol
_atom_site_fract_x
_atom_site_fract_y
_atom_site_fract_z
_atom_site_occupancy
K1 K 0.0000 0.0000 0.0000 1
Cd1 Cd 0.0000 0.5000 0.7500 1
In1 In 0.0000 0.5000 0.2500 1
Sn1 Sn 0.0000 0.0000 0.3810 1
```



Record 4
Theoretical powder X-ray diffraction pattern
Compound: KSrCdIn
Radiation: copper Kα
Structure: a PBE-relaxed structure

The 10 most intense peaks (2θ from 10° to 90°), sorted by position:
18.61°, d = 4.767 Å, intensity 3.6, hkl 1 1 1
21.53°, d = 4.128 Å, intensity 9.4, hkl 2 0 0
30.63°, d = 2.919 Å, intensity 100.0, hkl 2 2 0
43.86°, d = 2.064 Å, intensity 18.1, hkl 4 0 0
'''

Record 1
Theoretical powder X-ray diffraction pattern
Compound: K2CdInPt
Radiation: copper Kα
Structure: a PBE-relaxed structure

The 10 most intense peaks (2θ from 10° to 90°), sorted by position:
14.28°, d = 6.200 Å, intensity 71.1, hkl 1 0 0
20.26°, d = 4.384 Å, intensity 100.0, hkl 1 1 0
22.35°, d = 3.978 Å, intensity 49.3, hkl 1 0 1
28.80°, d = 3.100 Å, intensity 95.3, hkl 2 0 0
34.59°, d = 2.593 Å, intensity 29.2, hkl 0 0 2
36.75°, d = 2.445 Å, intensity 27.9, hkl 2 1 1
40.41°, d = 2.232 Å, intensity 35.3, hkl 1 1 2
41.18°, d = 2.192 Å, intensity 35.6, hkl 2 2 0
45.61°, d = 1.989 Å, intensity 52.7, hkl 2 0 2
54.84°, d = 1.674 Å, intensity 30.0, hkl 2 2 2

```
data_K2CdInPt
_cell_length_a 6.2002
_cell_length_b 6.2002
_cell_length_c 5.1865
_cell_angle_alpha 90.00
_cell_angle_beta 90.00
_cell_angle_gamma 90.00
_symmetry_space_group_name_H-M 'P 4/m m m'
_symmetry_Int_Tables_number 123
_symmetry_space_group_name_Hall '-P 4 2'
loop_
_atom_site_label
_atom_site_type_symbol
_atom_site_fract_x
_atom_site_fract_y
_atom_site_fract_z
_atom_site_occupancy
K1 K 0.0000 0.5000 0.0000 1
Cd1 Cd 0.0000 0.0000 0.5000 1
In1 In 0.5000 0.5000 0.5000 1
Pt1 Pt 0.5000 0.5000 0.0000 1
```



Record 2
Theoretical powder X-ray diffraction pattern
Compound: KCd2InSe4
Radiation: copper Kα
Structure: a PBE-relaxed structure

The 10 most intense peaks (2θ from 10° to 90°), sorted by position:
15.23°, d = 5.816 Å, intensity 16.2, hkl 1 0 1
24.31°, d = 3.661 Å, intensity 100.0, hkl 1 1 2
37.58°, d = 2.394 Å, intensity 28.4, hkl 2 2 0
41.50°, d = 2.176 Å, intensity 43.5, hkl 2 0 4
45.26°, d = 2.003 Å, intensity 33.4, hkl 3 1 2
51.94°, d = 1.761 Å, intensity 11.3, hkl 1 1 6
54.19°, d = 1.693 Å, intensity 8.2, hkl 4 0 0
65.83°, d = 1.419 Å, intensity 11.4, hkl 0 0 8
70.49°, d = 1.336 Å, intensity 13.2, hkl 4 2 4
78.32°, d = 1.221 Å, intensity 8.5, hkl 2 2 8

```
data_KCd2InSe4
_cell_length_a 6.7705
_cell_length_b 6.7705
_cell_length_c 11.3600
_cell_angle_alpha 90.00
_cell_angle_beta 90.00
_cell_angle_gamma 90.00
_symmetry_space_group_name_H-M 'I -4 2 m'
_symmetry_Int_Tables_number 121
_symmetry_space_group_name_Hall 'I -4 2'
loop_
_atom_site_label
_atom_site_type_symbol
_atom_site_fract_x
_atom_site_fract_y
_atom_site_fract_z
_atom_site_occupancy
K1 K 0.0000 0.0000 0.0000 1
Cd1 Cd 0.0000 0.5000 0.2500 1
In1 In 0.0000 0.0000 0.5000 1
Se1 Se 0.2185 0.2185 0.3618 1
```



Record 3
Theoretical powder X-ray diffraction pattern
Compound: KCdInSn2
Radiation: copper Kα
Structure: a PBE-relaxed structure

The 10 most intense peaks (2θ from 10° to 90°), sorted by position:
14.62°, d = 6.061 Å, intensity 42.9, hkl 0 0 2
18.89°, d = 4.698 Å, intensity 58.3, hkl 1 0 1
28.19°, d = 3.166 Å, intensity 45.8, hkl 1 0 3
28.82°, d = 3.097 Å, intensity 100.0, hkl 1 1 2
35.22°, d = 2.548 Å, intensity 91.6, hkl 2 0 0
38.83°, d = 2.319 Å, intensity 98.7, hkl 1 1 4
41.24°, d = 2.189 Å, intensity 26.0, hkl 1 0 5
45.71°, d = 1.985 Å, intensity 24.3, hkl 2 1 3
50.67°, d = 1.802 Å, intensity 32.1, hkl 2 2 0
65.62°, d = 1.423 Å, intensity 42.7, hkl 3 1 4

```
data_KCdInSn2
_cell_length_a 5.0960
_cell_length_b 5.0960
_cell_length_c 12.1212
_cell_angle_alpha 90.00
_cell_angle_beta 90.00
_cell_angle_gamma 90.00
_symmetry_space_group_name_H-M 'I -4 m 2'
_symmetry_Int_Tables_number 119
_symmetry_space_group_name_Hall 'I -4 -2'
loop_
_atom_site_label
_atom_site_type_symbol
_atom_site_fract_x
_atom_site_fract_y
_atom_site_fract_z
_atom_site_occupancy
K1 K 0.0000 0.0000 0.0000 1
Cd1 Cd 0.0000 0.5000 0.7500 1
In1 In 0.0000 0.5000 0.2500 1
Sn1 Sn 0.0000 0.0000 0.3810 1
```



Record 4
Theoretical powder X-ray diffraction pattern
Compound: KSrCdIn
Radiation: copper Kα
Structure: a PBE-relaxed structure

The 10 most intense peaks (2θ from 10° to 90°), sorted by position:
18.61°, d = 4.767 Å, intensity 3.6, hkl 1 1 1
21.53°, d = 4.128 Å, intensity 9.4, hkl 2 0 0
30.63°, d = 2.919 Å, intensity 100.0, hkl 2 2 0
43.86°, d = 2.064 Å, intensity 18.1, hkl 4 0 0